Work order >
Retype the calculation results underneath character by character.

Given >
┌──
A plane-wave DFT calculation with GGA-PBE was carried out for a relaxed structure of AlH3O3.

Cell lengths 5.1082, 6.6379, 6.6441 Å; angles 83.01, 82.69, 79.99 degrees
Atoms (fractional coordinates):
Al (0.5304, 0.1683, 0.8381)
Al (0.4773, 0.8308, 0.1668)
Al (0.0160, 0.3382, 0.6690)
Al (0.9898, 0.6693, 0.3364)
H (0.3630, 0.1020, 0.5517)
H (0.8060, 0.0367, 0.2029)
H (0.6258, 0.4820, 0.3160)
H (0.3886, 0.5213, 0.6909)
H (0.2136, 0.3023, 0.2918)
H (0.7669, 0.7077, 0.7037)
H (0.8764, 0.8580, 0.9214)
H (0.1372, 0.1382, 0.0570)
H (0.7777, 0.1007, 0.4997)
H (0.2488, 0.8654, 0.5349)
H (0.2394, 0.6093, 0.9856)
H (0.7741, 0.3933, 0.0212)
O (0.2693, 0.0850, 0.6894)
O (0.7416, 0.9289, 0.3010)
O (0.7133, 0.5732, 0.2116)
O (0.2984, 0.4325, 0.7953)
O (0.1702, 0.3993, 0.3966)
O (0.8326, 0.6054, 0.6063)
O (0.6850, 0.8849, 0.9049)
O (0.3219, 0.1152, 0.0929)
O (0.7472, 0.2091, 0.5923)
O (0.2593, 0.7937, 0.4133)
O (0.1979, 0.7195, 0.0791)
O (0.8164, 0.2777, 0.9341)

Calculated values
Final energy in eV/cell: -163.691
E (MP2020) in eV/cell: -171.935
Energy above the most stable polymorph in this dataset in eV/atom: 0.013
ΔE_f in eV/f.u.: -14.22
└──

Worked solution >
A plane-wave DFT calculation with GGA-PBE was carried out for a relaxed structure of AlH3O3.

Cell lengths 5.1082, 6.6379, 6.6441 Å; angles 83.01, 82.69, 79.99 degrees
Atoms (fractional coordinates):
Al (0.5304, 0.1683, 0.8381)
Al (0.4773, 0.8308, 0.1668)
Al (0.0160, 0.3382, 0.6690)
Al (0.9898, 0.6693, 0.3364)
H (0.3630, 0.1020, 0.5517)
H (0.8060, 0.0367, 0.2029)
H (0.6258, 0.4820, 0.3160)
H (0.3886, 0.5213, 0.6909)
H (0.2136, 0.3023, 0.2918)
H (0.7669, 0.7077, 0.7037)
H (0.8764, 0.8580, 0.9214)
H (0.1372, 0.1382, 0.0570)
H (0.7777, 0.1007, 0.4997)
H (0.2488, 0.8654, 0.5349)
H (0.2394, 0.6093, 0.9856)
H (0.7741, 0.3933, 0.0212)
O (0.2693, 0.0850, 0.6894)
O (0.7416, 0.9289, 0.3010)
O (0.7133, 0.5732, 0.2116)
O (0.2984, 0.4325, 0.7953)
O (0.1702, 0.3993, 0.3966)
O (0.8326, 0.6054, 0.6063)
O (0.6850, 0.8849, 0.9049)
O (0.3219, 0.1152, 0.0929)
O (0.7472, 0.2091, 0.5923)
O (0.2593, 0.7937, 0.4133)
O (0.1979, 0.7195, 0.0791)
O (0.8164, 0.2777, 0.9341)

Calculated values
Final energy in eV/cell: -163.691
E (MP2020) in eV/cell: -171.935
Energy above the most stable polymorph in this dataset in eV/atom: 0.013
ΔE_f in eV/f.u.: -14.22